## Assignment
The reader should duplicate the lines further down up to the one that holds "5.204 Å;", that line included.

## Source
-- begin --
Entry from Alexandria via LeMat-Bulk: crystalline ErPu2Mg at its relaxed geometry (PBE).

Summary:
The formation energy is 160 meV/atom. The total DFT energy (no corrections) is -34.180 eV per formula unit.

Cell lengths 4.536, 4.536, 5.204 Å; angles 90.00, 90.00, 90.00 degrees
Fractional positions:
Er (0.000, 0.000, 0.000)
Pu (0.000, 0.500, 0.500)
Pu (0.500, 0.000, 0.500)
Mg (0.500, 0.500, 0.000)

----------

DFT (PBE) results for crystalline TbNd2PbC at its relaxed geometry.

Geometry as POSCAR:
```
TbNd2PbC
1.0
5.137 0.000 0.000
0.000 5.137 0.000
0.000 0.000 4.960
Tb Nd Pb C
1 2 1 1
Cartesian
0.000 0.000 0.000
0.000 2.569 2.480
2.569 0.000 2.480
2.569 2.569 0.000
0.000 0.000 2.480
```

Formation energy from the elements: -0.44 eV per atom
Magnetization: 0.0 μB per formula unit
Space group: P4/mmm
V: 26.180 Å³/atom
-- stop --

## Done
Entry from Alexandria via LeMat-Bulk: crystalline ErPu2Mg at its relaxed geometry (PBE).

Summary:
The formation energy is 160 meV/atom. The total DFT energy (no corrections) is -34.180 eV per formula unit.

Cell lengths 4.536, 4.536, 5.204 Å; angles 90.00, 90.00, 90.00 degrees